-- Excerpt --
/*
*one*
Compound: Ta2Os3
Source: Alexandria
Functional: PBEsol
Structure: optimized geometry

Lattice parameters (Å, degrees): 4.3134 4.3134 5.3079 90.00 90.00 120.00
Sites, in units of the cell vectors:
Ta: 0.3333 0.6667 0.3167
Ta: 0.6667 0.3333 0.6833
Os: 0.0000 0.0000 0.5000
Os: 0.3333 0.6667 0.8325
Os: 0.6667 0.3333 0.1675

Calculated values
Crystal system: trigonal
D(E_F), states/eV per cell: 4.589


*two*
Compound: Ta2Os3
Source: Alexandria
Functional: PBEsol
Structure: optimized geometry

Lattice parameters (Å, degrees): 7.0469 5.3426 8.1186 58.91 40.48 80.61
Sites, in units of the cell vectors:
Ta: 0.2648 0.7352 0.3403
Ta: 0.5903 0.9097 0.5148
Ta: 0.7352 0.2648 0.6597
Ta: 0.9097 0.5903 0.9852
Os: 0.1195 0.8111 0.0749
Os: 0.1751 0.2555 0.1305
Os: 0.2555 0.1751 0.4389
Os: 0.4313 0.4313 0.5687
Os: 0.6813 0.6813 0.8187
Os: 0.8111 0.1195 0.9945

Calculated values
Crystal system: orthorhombic
D(E_F), states/eV per cell: 7.560


The structure with the least stability is *one*.


*one*
Compound: TaTcOs2
Source: Alexandria
Functional: PBEsol
Structure: optimized geometry

Lattice parameters (Å, degrees): 5.1516 5.1516 5.1516 144.83 129.50 63.03
Sites, in units of the cell vectors:
Ta: 0.0000 0.0000 0.0000
Tc: 0.7671 0.2671 0.5000
Os: 0.2372 0.7372 0.5000
Os: 0.5067 0.5067 0.0000

Calculated values
Crystal system: orthorhombic
D(E_F), states/eV per cell: 3.310


*two*
Compound: TaTcOs2
Source: Alexandria
Functional: PBEsol
Structure: optimized geometry

Lattice parameters (Å, degrees): 4.7745 4.7745 4.7745 131.77 131.77 70.59
Sites, in units of the cell vectors:
Ta: 0.0000 0.0000 0.0000
Tc: 0.5000 0.5000 0.0000
Os: 0.2500 0.7500 0.5000
Os: 0.7500 0.2500 0.5000

Calculated values
Crystal system: tetragonal
D(E_F), states/eV per cell: 4.763


The structure with the least stability is *one*.


*one*
Compound: Ta2TlOs
Source: Alexandria
Functional: PBEsol
Structure: optimized geometry

Lattice parameters (Å, degrees): 5.1940 5.1940 5.1940 134.85 134.85 65.76
Sites, in units of the cell vectors:
Ta: 0.0000 0.0000 0.0000
Ta: 0.7500 0.2500 0.5000
Tl: 0.5000 0.5000 0.0000
Os: 0.2500 0.7500 0.5000

Calculated values
Crystal system: tetragonal
D(E_F), states/eV per cell: 4.406


*two*
Compound: Ta2TlOs
Source: Alexandria
Functional: PBEsol
Structure: optimized geometry

Lattice parameters (Å, degrees): 4.6309 4.6309 4.6309 60.00 60.00 60.00
Sites, in units of the cell vectors:
Ta: 0.2500 0.2500 0.2500
Ta: 0.7500 0.7500 0.7500
Tl: 0.0000 0.0000 0.0000
Os: 0.5000 0.5000 0.5000

Calculated values
Crystal system: cubic
D(E_F), states/eV per cell: 6.529


The structure with the least stability is *two*.


*one*
Compound: TaOs2W
Source: Alexandria
Functional: PBEsol
Structure: optimized geometry

Lattice parameters (Å, degrees): 9.1593 9.1593 9.1593 17.57 17.57 17.57
Sites, in units of the cell vectors:
Ta: 0.0000 0.0000 0.0000
Os: 0.2477 0.2477 0.2477
Os: 0.7523 0.7523 0.7523
W: 0.5000 0.5000 0.5000

Calculated values
Crystal system: trigonal
D(E_F), states/eV per cell: 4.185


*two*
Compound: TaOs2W
Source: Alexandria
Functional: PBEsol
Structure: optimized geometry

Lattice parameters (Å, degrees): 2.7545 4.2266 5.4222 90.00 104.16 90.00
Sites, in units of the cell vectors:
Ta: 0.0000 0.0000 0.0000
Os: 0.4135 0.5000 0.2483
Os: 0.5865 0.5000 0.7517
W: 0.0000 0.0000 0.5000

Calculated values
Crystal system: monoclinic
D(E_F), states/eV per cell: 3.399


The structure with the least stability is *one*.

* * * * *

Entry 1:
# GGA-PBE TlHg3GeS4, relaxed
# Crystal system: cubic
data_TlHg3GeS4
_chemical_formula_sum 'Tl1 Hg3 Ge1 S4'
_cell_length_a 6.520
_cell_length_b 6.520
_cell_length_c 6.520
_cell_angle_alpha 90.00
_cell_angle_beta 90.00
_cell_angle_gamma 90.00
_symmetry_space_group_name_H-M 'P -4 3 m'
_symmetry_Int_Tables_number 215
_symmetry_space_group_name_Hall 'P -4 2 3'
loop_
_atom_site_label
_atom_site_type_symbol
_atom_site_fract_x
_atom_site_fract_y
_atom_site_fract_z
_atom_site_occupancy
Tl1 Tl 0.000 0.000 0.000 1
*/

-- Wanted --
It remains to say how many lines of the contents above hold the word "Compound", as a bare number.

-- Done --
8